The State Property Fund has reconsidered the decision on privatization of the Culture Palace “Metalurh” in Novomoskovsk

The State Property Fund reconsidered the decision on privatization of the state-owned Culture Palace “Metalurh” in Novomoskovsk and decided to long-term lease it in the interests of the town’s  community

For the information, CP “Metalurh” was built at the expense of the Novomoskovsk Pipe Plant in Soviet times, and during the plant privatization in 1995 it was excluded from its property subject to privatization. Since then, the Palace of Culture has been on the balance sheet of PJSC “Interpipe Novomoskovsk Pipe Plant” as "non-statutory" state property.

On March 24, 2020, the Regional Offices of the State Property Fund in Dnipropetrovsk, Zaporizhzhia and Kirovohrad oblasts adopted a decision on CP “Metalurh” privatization by sale at the auction due to the Order № 12 / 01-86-RP. This decision was made in accordance with the principle of priorities choosing the method of state property management, which was not included in the companies authorized capital in the privatization process, but it’s on their balance sheet, compliance with which ensures funds to the state budget.

However, since the privatization decision, the Fund has received numerous appeals from the town’s community representatives, MPs, and the mayor of Novomoskovsk about the risks of change the Palace purpose, which includes the decision on privatization. According to the appeals, CP “Metalurh” is a meeting center for the creative and spiritual needs of the local residents, as well as the single municipal institution that has a professionally equipped stage, an auditorium for 700 seats and premises for creative associations. In their appeals, the town’s community representatives drew attention to the architectural replaning risks of the object, if it is in the interest of the profit maximizing of the new owner. Nevertheless, in the applicants opinion, such course of events will not be in the local community interests.

The State Property Fund has analyzed the Novomoskovsk community appeals and decided to change the investor attracting strategy for the Palace of Culture. Therefore, in order to be able to control the preservation of the purpose of object as a cultural institution, the Fund, as the authorized body to manage this property, decided on the feasibility of long-term leaseof CP “Metalurh” with additional conditions for the tenant investment in modernization, repair and preservation of activity profile, however, without the redemption right.

The decision on CP “Metalurh” privatization was canceled by the Fund's Order № 780 of May 13, 2020

Leonid Antonienko, First Deputy of the Head of the State Property Fund of Ukraine, emphasized on that the future tenant of the Palace of Culture will be determined by an auction through the electronic system “Prozorro.Sales”. He will also have the right to sublease part of the CP “Metalurh” leased premises to provide related services to its visitors. Subleasing will not require additional approvals from officials. The new lease law allows tenants, who have received the lease right at the auction, don't transfer the difference to the budget between lease and sublease payment and use the funds that were maked by this difference at the own discretion. According to the Fund’s opinion, these legislation innovations open up new opportunities to increase the investments profitability, the cost of tenants to leas and repair leased objects, and as a result - increase the demand for state property leasing.

(Materials data, as found in the file)
~~~
No. 1
This record from the Alexandria database describes a geometry-optimized Mg2FeHRh structure. The functional is GGA-PBE.

Cell lengths 4.3139, 4.3139, 3.3500 Å; angles 90.00, 90.00, 90.00 degrees
Closest atoms and distances in Å follow each position.
Sites, in units of the cell vectors:
H 0.0000 0.0000 0.0000  2 Fe 1.68
Mg 0.0000 0.5000 0.0000  2 H 2.16
Mg 0.5000 0.0000 0.0000  2 H 2.16
Rh 0.5000 0.5000 0.5000  8 Mg 2.73, 4 Fe 3.05
Fe 0.0000 0.0000 0.5000  2 H 1.68

Output
The value obtained for the calculated density is 5.55 g/cm3. Its density of states at the Fermi level is 0.83 states/eV/atom. Its space group is No. 123.

No. 2
This record from the Alexandria database describes a geometry-optimized Dy6ScTl2 structure. The functional is GGA-PBE.

Cell lengths 3.6811, 6.5808, 11.7403 Å; angles 73.92, 80.98, 73.76 degrees
Closest atoms and distances in Å follow each position.
Sites, in units of the cell vectors:
Dy 0.6752 0.5283 0.1214  2 Tl 3.27, 5 Dy 3.44-3.55, 2 Sc 3.49
Dy 0.3249 0.4717 0.8786  2 Tl 3.27, 5 Dy 3.44-3.55, 2 Sc 3.49
Dy 0.3085 0.7916 0.5914  2 Tl 3.39, 10 Dy 3.44-3.68
Dy 0.9793 0.6961 0.3454  2 Tl 3.26, 7 Dy 3.49-3.57
Dy 0.0207 0.3039 0.6546  2 Tl 3.26, 7 Dy 3.49-3.57
Dy 0.6915 0.2084 0.4086  2 Tl 3.39, 10 Dy 3.44-3.68
Sc 0.0000 0.0000 0.0000  4 Tl 3.00
Tl 0.3625 0.0877 0.1873  2 Sc 3.00, 4 Dy 3.26-3.27
Tl 0.6375 0.9123 0.8127  2 Sc 3.00, 4 Dy 3.26-3.27

Output
The value obtained for the calculated density is 9.08 g/cm3. The formation energy comes out at -0.14 eV per atom. Its density of states at the Fermi level is 1.23 states/eV/atom. Its space group is No. 12.

No. 3
This record from the Alexandria database describes a geometry-optimized YTmMgPd structure. The functional is GGA-PBE.

Cell lengths 5.1048, 5.1048, 5.1048 Å; angles 60.00, 60.00, 60.00 degrees
Closest atoms and distances in Å follow each position.
Sites, in units of the cell vectors:
Y 0.0000 0.0000 0.0000  4 Mg 3.13, 4 Pd 3.13
Mg 0.7500 0.7500 0.7500  4 Y 3.13, 4 Tm 3.13
Tm 0.5000 0.5000 0.5000  4 Mg 3.13, 4 Pd 3.13
Pd 0.2500 0.2500 0.2500  4 Tm 3.13, 4 Y 3.13

Output
The value obtained for the calculated density is 6.86 g/cm3. The formation energy comes out at -0.41 eV per atom. Its density of states at the Fermi level is 0.73 states/eV/atom. Its space group is No. 216.

No. 4
This record from the Alexandria database describes a geometry-optimized Mg5Pb2 structure. The functional is GGA-PBE.

Cell lengths 4.5170, 4.4783, 17.5726 Å; angles 90.00, 97.38, 90.00 degrees
Closest atoms and distances in Å follow each position.
Sites, in units of the cell vectors:
Mg 0.9666 0.2500 0.9331  2 Pb 3.09, 10 Mg 3.18-3.32
Mg 0.0334 0.7500 0.0669  2 Pb 3.09, 10 Mg 3.18-3.32
Mg 0.5325 0.2500 0.0649  2 Pb 3.12, 10 Mg 3.18-3.33
Mg 0.4675 0.7500 0.9351  2 Pb 3.12, 10 Mg 3.18-3.33
Mg 0.7502 0.2500 0.5004  4 Pb 3.07-3.08, 8 Mg 3.18-3.34
Mg 0.2498 0.7500 0.4996  4 Pb 3.07-3.08, 8 Mg 3.18-3.34
Mg 0.1795 0.2500 0.3589  5 Pb 2.97-3.20, 2 Mg 3.32
~~~

Now consultations with the community representatives, potential tenants and other stakeholders on the future using specifics of CP “Metalurh” and the lowest amount of  investment attracting in its development are ongoing.